Could you count the lines underneath that contain the word "Ca" and give the number alone?
'''
No. 1
# CaZn4Pd8

A relaxed structure of CaZn4Pd8 (GGA-PBE, Alexandria).

Cell lengths 5.282, 6.811, 6.811 Å; angles 81.35, 67.18, 67.18 degrees
Positions (direct):
Pd (0.000, 0.344, 0.656)
Pd (0.722, 0.778, 0.778)
Pd (0.000, 0.656, 0.344)
Pd (0.656, 0.344, 0.344)
Pd (0.500, 0.222, 0.778)
Pd (0.500, 0.778, 0.222)
Pd (0.278, 0.222, 0.222)
Pd (0.344, 0.656, 0.656)
Zn (0.500, 0.500, 0.000)
Zn (0.000, 0.500, 0.000)
Zn (0.500, 0.000, 0.500)
Zn (0.000, 0.000, 0.500)
Ca (0.000, 0.000, 0.000)

As for the space-group type: I4/mmm. For the magnetization, the calculation gives 0.0 μB/cell. The value obtained for the total energy is -4.2391 eV/atom. The formation energy comes out at -0.50 eV/atom. The calculation puts the density of states at the Fermi level at 4.742 states/eV/cell.

---

No. 2
# CaZn2Pd2

A relaxed structure of CaZn2Pd2 (GGA-PBE, Alexandria).

Cell lengths 4.159, 4.159, 11.403 Å; angles 100.51, 100.51, 90.00 degrees
Positions (direct):
Pd (0.750, 0.250, 0.500)
Pd (0.250, 0.750, 0.500)
Pd (0.931, 0.931, 0.863)
Pd (0.069, 0.069, 0.137)
Zn (0.183, 0.183, 0.365)
'''
1